Contents >
~~~
(1)
Ac3Pr4Sm4 | PBE-GGA | optimized geometry

Output
Formation energy   33 meV/atom
Space-group type   P-1, No. 2
Electronic total energy   -0.33377 Ry per atom

Unit cell a=3.724 b=5.912 c=19.074 alpha=81.10 beta=84.42 gamma=89.99
Positions (direct):
Ac (0.000, 0.000, 0.000)
Ac (0.137, 0.638, 0.724)
Ac (0.863, 0.362, 0.276)
Pr (0.318, 0.818, 0.364)
Pr (0.454, 0.455, 0.093)
Pr (0.546, 0.545, 0.907)
Pr (0.682, 0.182, 0.636)
Sm (0.265, 0.265, 0.470)
Sm (0.408, 0.909, 0.184)
Sm (0.592, 0.091, 0.816)
Sm (0.735, 0.735, 0.530)


(2)
Sm12Ho5Cd2 | PBE-GGA | optimized geometry

Output
Formation energy   46 meV/atom
Space-group type   C2/m, No. 12
Electronic total energy   -0.31129 Ry per atom

Unit cell a=9.050 b=9.050 c=8.476 alpha=92.16 beta=92.16 gamma=61.30
Positions (direct):
Sm (0.057, 0.057, 0.329)
Sm (0.069, 0.680, 0.329)
Sm (0.167, 0.536, 0.764)
Sm (0.320, 0.931, 0.671)
Sm (0.419, 0.419, 0.117)
Sm (0.464, 0.833, 0.236)
Sm (0.536, 0.167, 0.764)
Sm (0.581, 0.581, 0.883)
Sm (0.680, 0.069, 0.329)
Sm (0.833, 0.464, 0.236)
Sm (0.931, 0.320, 0.671)
Sm (0.943, 0.943, 0.671)
Ho (0.197, 0.197, 0.018)
Ho (0.267, 0.267, 0.423)
Ho (0.500, 0.500, 0.500)
Ho (0.733, 0.733, 0.577)
Ho (0.803, 0.803, 0.982)
Cd (0.170, 0.830, 0.000)
Cd (0.830, 0.170, 0.000)


(3)
ScSn3Te | PBE-GGA | optimized geometry

Output
Space-group type   Pm-3m, No. 221
Electronic total energy   -0.26338 Ry per atom
Formation energy from raw total energies   0.713 eV/atom

Unit cell a=5.717 b=5.717 c=5.717 alpha=90.00 beta=90.00 gamma=90.00
Positions (direct):
Sc (0.000, 0.000, 0.000)
Sn (0.000, 0.500, 0.500)
Sn (0.500, 0.000, 0.500)
Sn (0.500, 0.500, 0.000)
Te (0.500, 0.500, 0.500)


(4)
Li2HgI | PBE-GGA | optimized geometry

Output
Space-group type   R-3m, No. 166
Electronic total energy   -0.14769 Ry per atom
Formation energy from raw total energies   -0.589 eV/atom

Unit cell a=7.111 b=7.111 c=7.111 alpha=33.95 beta=33.95 gamma=33.95
Positions (direct):
Li (0.246, 0.246, 0.246)
Li (0.754, 0.754, 0.754)
Hg (0.500, 0.500, 0.500)
I (0.000, 0.000, 0.000)


(5)
Tb8Y4Er3 | PBE-GGA | optimized geometry

Output
Formation energy   395 meV/atom
Space-group type   C2/m, No. 12
Electronic total energy   -0.34623 Ry per atom

Unit cell a=9.240 b=9.240 c=6.764 alpha=111.43 beta=111.43 gamma=87.25
Positions (direct):
Tb (0.142, 0.858, 0.000)
Tb (0.228, 0.228, 0.463)
Tb (0.231, 0.231, 0.990)
Tb (0.246, 0.754, 0.500)
Tb (0.754, 0.246, 0.500)
Tb (0.769, 0.769, 0.010)
Tb (0.772, 0.772, 0.537)
Tb (0.858, 0.142, 0.000)
Y (0.000, 0.500, 0.500)
Y (0.500, 0.000, 0.500)
Y (0.500, 0.500, 0.000)
Y (0.500, 0.500, 0.500)
Er (0.000, 0.000, 0.500)
Er (0.000, 0.500, 0.000)
Er (0.500, 0.000, 0.000)


(6)
Pr6P2SI3 | PBE-GGA | optimized geometry

Output
Space-group type   C2/m, No. 12
Electronic total energy   -0.39969 Ry per atom
Formation energy from raw total energies   -1.415 eV/atom

Unit cell a=7.354 b=7.354 c=8.102 alpha=98.70 beta=98.70 gamma=120.01
Positions (direct):
Pr (0.105, 0.438, 0.813)
Pr (0.229, 0.229, 0.187)
Pr (0.438, 0.105, 0.813)
Pr (0.562, 0.895, 0.187)
Pr (0.771, 0.771, 0.813)
Pr (0.895, 0.562, 0.187)
P (0.166, 0.834, 0.000)
P (0.834, 0.166, 0.000)
S (0.500, 0.500, 0.000)
I (0.000, 0.000, 0.500)
I (0.332, 0.668, 0.500)
I (0.668, 0.332, 0.500)

----------

[1]
# AcPrTe2 | Alexandria via LeMat-Bulk | PBE | optimized geometry
data_AcPrTe2
_chemical_formula_sum 'Ac3 Pr3 Te6'
_symmetry_space_group_name_H-M 'R -3 m'
_symmetry_Int_Tables_number 166
_symmetry_space_group_name_Hall '-R 3 2"'
_cell_length_a 4.6449
_cell_length_b 4.6449
_cell_length_c 22.5627
_cell_angle_alpha 90.00
_cell_angle_beta 90.00
_cell_angle_gamma 120.00
loop_
_atom_site_label
_atom_site_fract_x
_atom_site_fract_y
_atom_site_fract_z
Ac1 0.0000 0.0000 0.0000
Pr1 0.0000 0.0000 0.5000
Te1 0.0000 0.0000 0.2460
# * raw formation energy: -1.466 eV per atom
# * ΔE to the lowest computed polymorph: 0.0 meV/atom
# * crystal system: trigonal


[2]
# Ac3Pr5Te8 | Alexandria via LeMat-Bulk | PBE | optimized geometry
~~~

Exercise >
Filter the data earlier on: keep the lines with the word "Tb8Y4Er3".

Done >
Tb8Y4Er3 | PBE-GGA | optimized geometry